
Clean out your pantry of toxic products on the dirty list


When we first started Formulating our Relief Lotion years ago in our kitchen, we quickly learned about all the toxic chemicals that were lurking around us in our home. We found them everywhere! But the biggest one for us was in our household cleaner that we were using to decontaminate our workspace.

Here’s what we threw away:

-Anything with SLS in it. This toxic ingredient is what makes soap foam or bubble- honestly, you can live without the bubbles.

Found in: Hand soaps, toothpaste, shampoo

-Household Cleaner. ALERT! (even the organic “clean” ones are toxic!

What we use instead:

Good old fashioned vinegar. I bought giant glass jar online, filled it with vinegar, and loaded it with orange peels from our garden for a nice fresh scent and let it steep. Then I got cute glass spray bottles– because keeping anything in plastic is just as bad.

And if you don’t feel like making your own, here’s company we love with great core values and actually non- toxic cleaning products:

A note on Plastic:
We got rid of it all! Instead of leftover containers we use these. For plastic snack bags we use these, and instead of saran wrap we use these great beeswax reusable wraps.

and finally, here is the Dirty List we promised:

Dirty List




Grow your own hemp at home

Growing Hemp at home in your garden can be easy and so rewarding with a few simple steps. 

How to:

First, choose a sunny spot in your garden or yard where the soil drains well and there is plenty of sun exposure. Then purchase some hemp seeds that are meant for planting. Next, sow the seeds about one-quarter inch deep into the soil and lightly tamp down around them. Water regularly, ensuring the soil remains moist but not soggy. As the seedlings emerge from the soil, thin out the weaker plants so that each plant has room to grow. Finally, wait for the hemp to mature before harvesting the stems and leaves for use in paper, textiles, oils, and other products.

Cultivating and growing hemp at home is a rewarding experience. If you’re looking for an exciting way to get involved in gardening, consider cultivating your own hemp at home. With the right know-how and materials, you can easily set up an indoor or outdoor environment that allows you to grow this amazing plant. Plus, it’s legal in many places – so there’s no need to worry about breaking any laws. Growing hemp is not only fun but also incredibly beneficial, since it offers an array of applications and uses from making food and medicine to creating fabric and fuel.

Here are some at home Hemp Recipes:

23 hemp recipes

Hemp Energy Bites

Hemp Seed oil


What Does it Mean for a Hemp Company to Be Sustainable?

As hemp-based products become increasingly popular, many companies are now making sustainability claims. But what does it mean for a hemp company to truly be sustainable? To understand this, we must consider the entire production process from seed to sale.

Seed Selection and Growth Processes

In order for a hemp company to be considered sustainable, they must select their seeds carefully. For example, if they use GMO seeds, they are not only destroying the genetic integrity of their crop but also compromising its nutritional value. So instead of using genetically modified seeds, look for companies that source organic or heirloom varieties as these are grown without the use of synthetic fertilizers and other toxic substances. Additionally, companies should commit to using sustainable farming practices that protect the soil and promote biodiversity. This includes using natural pest control methods such as crop rotation and companion planting rather than relying on toxic pesticides which can harm both people and the environment. At Dr. Milo, we have our product triple lab tested.

Processing Practices

The way in which hemp is processed is another key factor in determining whether a hemp company is truly sustainable. Companies should avoid any processes that involve harsh chemicals or solvents as these can contaminate their products with harmful toxins. Instead, look for companies that use gentle processing techniques such as cold pressing or steam distillation which preserve vital nutrients while maintaining product purity. Additionally, many companies now use CO2 extraction which allows them to extract cannabinoids without using any solvents at all! Here is our lovely hemp company: onda wellness hemp

Packaging Considerations

Finally, packaging is an often-overlooked aspect of sustainability when it comes to hemp-based products. Companies should strive to use packaging materials that are 100% recyclable or compostable so that customers can easily dispose of them responsibly when they’re done with them. At Dr. Milo, we use this wonderful company called eco-enclose. Additionally, packaging should never contain any plastics or other non-biodegradable materials as these will just end up polluting our waterways and landfills eventually if not disposed of properly.

When it comes to choosing a truly sustainable hemp company, there are several factors to consider from seed selection and growth processes through processing practices and packaging considerations. By taking all these elements into account, you can make an informed decision about which company best aligns with your values when it comes to sustainability. Doing so will ensure that you get the highest quality product while supporting a business that takes its environmental responsibilities seriously.



What You Need to Know About Cannabis Lab Testing

The cannabis industry is one of the fastest-growing industries in North America, and as such, it is important that products are tested for safety and quality. Cannabis lab testing is a vital part of any business dealing with cannabis or hemp products, and it ensures that customers receive the highest quality product available. In this blog post, we’ll discuss why cannabis lab testing is important for hemp lotions and other cannabis-based products.

Here is our COA (lab test) for Dr. Milo Topical Relief Lotion:

Dr. Milo COA

Why is it Necessary?

Cannabis lab testing is necessary to ensure that products are safe for consumers. This includes testing for potency, terpenes, pesticides, solvents, and other contaminants. In addition to ensuring safety, cannabis lab testing also helps producers create consistent batches of product that meet customer expectations. By performing regular tests on each batch of product they make, producers can ensure they are producing products of the same quality each time.

Testing Lotions

When it comes to hemp lotions specifically, lab testing is especially important due to their potential use as a topical treatment. While most topicals do not need to be tested for potency like edibles or tinctures do, it is still important to test them for purity and contaminants. This will help ensure that customers are receiving a safe product free from any unwanted substances or toxins that could potentially cause skin irritation or other adverse reactions.

<<<
(1)
This entry pairs a crystal structure of AcPaRh4 with its computed powder XRD pattern. Radiation: Cu Kα X-rays. Structure: DFT lattice parameters and positions (GGA-PBE).

abc: 8.016 4.104 7.413
angles: 90.00 90.00 90.00
Sites, in units of the cell vectors:
Ac  0.250  0.000  0.171
Ac  0.750  0.000  0.829
Pa  0.250  0.000  0.726
Pa  0.750  0.000  0.274
Rh  0.000  0.000  0.500
Rh  0.046  0.500  0.813
Rh  0.250  0.500  0.472
Rh  0.454  0.500  0.813
Rh  0.500  0.000  0.500
Rh  0.546  0.500  0.187
Rh  0.750  0.500  0.528
Rh  0.954  0.500  0.187

Largest 6 diffraction maxima, in order of falling intensity, 10° ≤ 2θ ≤ 90°:
Position (°2θ)  I/Imax
39.74  100.0
33.51  44.3
34.47  37.2
31.19  36.6
44.13  31.9
78.19  24.0


(2)
This entry pairs a crystal structure of Ac3Pa2Rh4 with its computed powder XRD pattern. Radiation: Cu Kα X-rays. Structure: DFT lattice parameters and positions (GGA-PBE).

abc: 6.572 6.572 9.792
angles: 100.07 100.07 35.18
Sites, in units of the cell vectors:
Ac  0.000  0.000  0.000
Ac  0.376  0.376  0.610
Ac  0.624  0.624  0.390
Pa  0.314  0.314  0.215
Pa  0.686  0.686  0.785
Rh  0.075  0.075  0.645
Rh  0.303  0.303  0.922
Rh  0.697  0.697  0.078
Rh  0.925  0.925  0.355

Largest 6 diffraction maxima, in order of falling intensity, 10° ≤ 2θ ≤ 90°:
Position (°2θ)  I/Imax
31.33  100.0
28.93  70.9
37.78  63.3
29.21  36.3
54.95  34.3
45.68  31.7


(3)
This entry pairs a crystal structure of Ac2YPaRh6 with its computed powder XRD pattern. Radiation: Cu Kα X-rays. Structure: DFT lattice parameters and positions (GGA-PBE).

abc: 5.977 5.977 8.943
angles: 109.46 109.46 59.99
Sites, in units of the cell vectors:
Ac  0.219  0.219  0.158
Ac  0.781  0.781  0.842
Y  0.000  0.000  0.500
Pa  0.500  0.500  0.000
Rh  0.231  0.745  0.223
Rh  0.255  0.255  0.776
Rh  0.255  0.769  0.777
Rh  0.745  0.231  0.223
Rh  0.745  0.745  0.224
Rh  0.769  0.255  0.777

Largest 6 diffraction maxima, in order of falling intensity, 10° ≤ 2θ ≤ 90°:
Position (°2θ)  I/Imax
37.67  100.0
10.72  94.5
22.39  41.7
35.44  39.4
29.90  35.1
45.70  29.9


(4)
This entry pairs a crystal structure of AcPa3S8 with its computed powder XRD pattern. Radiation: Cu Kα X-rays. Structure: DFT lattice parameters and positions (GGA-PBE).

abc: 8.616 8.616 8.616
angles: 56.11 56.11 56.11
Sites, in units of the cell vectors:
Ac  0.000  0.000  0.000
Pa  0.000  0.000  0.500
Pa  0.000  0.500  0.000
Pa  0.500  0.000  0.000
S  0.205  0.751  0.751
S  0.231  0.231  0.231
S  0.249  0.249  0.795
S  0.249  0.795  0.249
S  0.751  0.205  0.751
S  0.751  0.751  0.205
S  0.769  0.769  0.769
S  0.795  0.249  0.249

Largest 6 diffraction maxima, in order of falling intensity, 10° ≤ 2θ ≤ 90°:
Position (°2θ)  I/Imax
13.26  100.0
30.33  83.5
12.23  51.2
25.19  39.0
26.70  35.0
42.10  30.9

=====

1.
LaMg2CdO: computed powder XRD pattern (Cu Kα), based on a DFT-relaxed cell (GGA-PBE, Alexandria).
Lines closer than 0.1° are merged.

Cell and atoms:
a b c (Å): 4.654 4.654 4.884
angles (deg): 90.00 90.00 90.00
>>>

Checking the COA

Cannabis lab testing provides consumers with peace of mind when purchasing cannabis or hemp-based products such as lotions or balms – knowing these items have been thoroughly tested for safety and quality assurance gives them confidence in their purchase decision. For producers, regular lab testing ensures consistency between batches while also giving them an advantage over competitors who may not be taking additional steps towards transparency with customers. Ultimately both parties benefit from having a trusted third party verifying the safety and accuracy of the end product – so if you’re looking into buying or selling cannabis-based products make sure they’ve been through rigorous laboratory analysis.

Here’s a Lab we love!



Gifting Dr. Milo Relief Lotion – A Perfect Choice For Any Occasion

Are you looking for a thoughtful and unique gift idea? Dr. Milo Relief Lotion is a perfect choice for any occasion. Whether you’re celebrating a birthday, an anniversary or just want to show your appreciation, gifting a tube of Dr. Milo Relief Lotion is sure to put a smile on the faces of anyone who receives it. Let’s take a closer look at why gifting our Relief Lotion makes the perfect present for anyone in your life.

The Benefits of Dr. Milo Relief Lotion

Dr. Milo’s Topical Relief Lotion is a fast-absorbing, full-spectrum NANO CBD/CBN/CBG formula. It contains all plant-derived ingredients, that offer reduced inflammation and relaxation.  It will absorb into the skin within seconds, work within minutes, and last approximately 2-4 hours. We use a NANO, full-spectrum hemp for higher potency, and faster absorption. Our unisex essential oil-based scent won’t stain your clothes so use all over your body. We like it on the insides of our wrists to soothe anxiety and on our temples for migraine relief. Massage into your aches and feel the relief.

The Gift That Keeps On Giving

When you give someone the gift of Dr. Milo Relief Lotion, they’re not just getting one product; they’re getting the benefit of long-term inflammation relief that will last them for months to come.

Easy To Use

Dr. Milo Relief Lotion is incredibly easy to use – simply apply it directly onto affected areas twice daily (or more often if needed). There are no complicated instructions or lengthy regimens; just smooth on the lotion whenever needed and let its natural ingredients work their magic! Plus, with its light texture and pleasant scent, using this lotion is truly an enjoyable experience.

Gifting someone a tube of Dr. Milo Relief Lotion is the perfect way to say you care about someone’s well being.  So if you’re looking for an ideal gift idea that’s sure to please anyone in your life, look no further than gifting them a tube of Dr. Milo Relief Lotion today.

shop for your perfect gift here